So you’re foolish enough to make satire for the App Store

Everyday Arcade
7 min readMay 3, 2016


We had what we thought was a pretty simple idea: release an ongoing series of short, silly, satirical games about the upcoming election.

Unfortunately, we decided to make it into an app. For iOS. Maybe you can see where this is headed.

The entry is interrupted by calculated crystals:
/*
1.
Entry from the Alexandria database: crystalline DyPa2Zn6 at its relaxed geometry (PBE-GGA).

abc: 7.9172 7.9172 3.2198
angles: 90.00 90.00 120.00
With the nearest neighbours (Å) after each atom.
Space group P6/mmm (No. 191)
Symmetry-distinct sites (fractional):
1 Dy 0.0000 0.0000 0.0000 (multiplicity 1)  12 Zn 3.08, 2 Dy 3.22
2 Pa 0.3333 0.6667 0.0000 (multiplicity 2)  12 Zn 3.09, 2 Pa 3.22
3 Zn 0.0000 0.3324 0.5000 (multiplicity 6)  3 Zn 2.63-2.65

Values from the calculation:
**DOS at the Fermi energy**: 10.3 states/eV/f.u.
**ΔH_f (0 K)**: -0.17 eV/atom

2.
Entry from the Alexandria database: crystalline DyPaZn2 at its relaxed geometry (PBE-GGA).

abc: 7.0846 7.0846 7.0846
angles: 90.00 90.00 90.00
With the nearest neighbours (Å) after each atom.
Space group Fm-3m (No. 225)
Symmetry-distinct sites (fractional):
1 Dy 0.0000 0.0000 0.0000 (multiplicity 4)  8 Zn 3.07
2 Pa 0.0000 0.0000 0.5000 (multiplicity 4)  8 Zn 3.07
3 Zn 0.2500 0.2500 0.2500 (multiplicity 8)  4 Dy 3.07, 4 Pa 3.07

Values from the calculation:
**DOS at the Fermi energy**: 4.3 states/eV/f.u.
**ΔH_f (0 K)**: -0.05 eV/atom
**Polymorph energy (0 for the lowest one)**: 0.065 eV/atom

3.
Entry from the Alexandria database: crystalline DyZrPa2 at its relaxed geometry (PBE-GGA).

abc: 7.4730 7.4730 7.4730
angles: 90.00 90.00 90.00
With the nearest neighbours (Å) after each atom.
Space group Fm-3m (No. 225)
Symmetry-distinct sites (fractional):
1 Dy 0.0000 0.0000 0.0000 (multiplicity 4)  8 Pa 3.24
2 Zr 0.0000 0.0000 0.5000 (multiplicity 4)  8 Pa 3.24
3 Pa 0.2500 0.2500 0.2500 (multiplicity 8)  4 Zr 3.24, 4 Dy 3.24

Values from the calculation:
**DOS at the Fermi energy**: 11.6 states/eV/f.u.
**ΔH_f (0 K)**: 0.42 eV/atom
**Polymorph energy (0 for the lowest one)**: 0.234 eV/atom

4.
Entry from the Alexandria database: crystalline DyZrPa at its relaxed geometry (PBE-GGA).

abc: 5.2276 5.2276 3.3318
angles: 90.00 90.00 120.00
With the nearest neighbours (Å) after each atom.
Space group P-6m2 (No. 187)
Symmetry-distinct sites (fractional):
1 Dy 0.0000 0.0000 0.0000 (multiplicity 1)  2 Dy 3.33, 6 Pa 3.45, 6 Zr 3.45
2 Zr 0.3333 0.6667 0.5000 (multiplicity 1)  3 Pa 3.02, 2 Zr 3.33
3 Pa 0.6667 0.3333 0.5000 (multiplicity 1)  3 Zr 3.02, 2 Pa 3.33

Values from the calculation:
**DOS at the Fermi energy**: 3.9 states/eV/f.u.
**ΔH_f (0 K)**: 0.18 eV/atom
**Polymorph energy (0 for the lowest one)**: 0.018 eV/atom

5.
Entry from the Alexandria database: crystalline DyZr2Pa at its relaxed geometry (PBE-GGA).

abc: 3.2619 3.2619 32.9489
angles: 90.00 90.00 120.00
With the nearest neighbours (Å) after each atom.
Space group R3m (No. 160, hexagonal axes)
Symmetry-distinct sites (fractional):
1 Dy 0.0000 0.0000 0.0000 (multiplicity 3)  6 Dy 3.26, 6 Zr 3.39-3.41
2 Zr 0.0000 0.0000 0.4196 (multiplicity 3)  6 Zr 3.26, 3 Pa 3.26, 3 Dy 3.41
3 Zr 0.0000 0.0000 0.5811 (multiplicity 3)  3 Pa 3.26, 6 Zr 3.26, 3 Dy 3.39
4 Pa 0.0000 0.0000 0.1671 (multiplicity 3)  6 Zr 3.26, 6 Pa 3.26
*/

One month full of reviews, desperate pleas, and phone calls with Apple later, we were rejected for being too “offensive,” satire be damned.

So today, we’re putting them all on the web for free at

Hey let’s make games.

As a group, we’ve had a general tendency to make stupid shit on the internet. We wanted to do something fun with the election, but it’s pretty well-worn territory, seeing as single-serving Trump sites/apps/extensions enter this world with a regularity akin to fruit flies. So we figured we’d try something a little different and do a whole series of games that would satirize the GOP’s positions on major issues like immigration, gun control, and defense.

Trump Toss, Good Guy with a Gun, and Bomb the Right Place

We made one game where you fling immigrants over the border as quickly as possible, one where you try to only give guns to good guys, and one where you try to bomb every country that could possibly harbor terrorists, all on an unlabeled map. They’re all very simple, very silly, very cartoony, and we thought, pretty clearly satirical.

Hey, um, Apple says our games are too offensive.

The first rejection came after a few days:

“Your app contains content that is offensive and would be considered objectionable by many users, which is not allowed on the App Store. We’ve attached screenshot(s) for your reference.”

Those screenshots were just screenshots of our screenshots for the app store. It looked like they hadn’t even opened the app. We replied back, asking “could you be more specific?” At this point we were naive enough to think replying to a message in iTunes Connect was any more effective than just shouting the same thing into sinkhole of medium-depth.

So we revised the screenshots and made the copy a little less, I don’t know, edgy? We submitted it again. And then we got this:

“Your app contains content that is offensive and would be considered objectionable by many users, which is not allowed on the App Store. Specifically, the app includes sections such as ‘Toss Trump’ and other well know figures.” (sic)

Tim Cook was all like.

Wait. What?

Search for “Donald Trump” in the App Store. You will find at least three games where you literally take a shit on Donald Trump’s head. And more where you physically assault Trump and other well-known figures. These games and the many like them are what made us think we could get our app published in the first place. The App Store is filled with a swath of garbage apps about politicians.

Apple allowed these gorgeous Trump themed apps in!

We reply back and, naturally, hear nothing. So we file an appeal, and the page tells us we’ll hear back in one business day. Exciting! Of course all you hear back is that you are under review. Then they tell you they’re going to call in three business days. Six business days later, one of us gets a call.

First, they wanted to know if any of us could be considered professional political satirists. Luckily, one of us is published in an anthology of political satire. Hooray! A while back, Apple had to allow this exemption after catching flak for not allowing satirists to release apps.

Next, they wanted an explanation of how each of our three games was satire. What could be more fun than explaining to a giant corporation why your jokes are funny? We went point by point, explaining how no, we don’t think it’s fun to deport immigrants back to Mexico, we actually think it’s insane and wrong and that’s why we portray it as a game, since some candidates think it’s a simple matter of throwing out the bad guys and making America great in the process.

The entry is interrupted by materials data:
- - -
# 1
CaINO2 | PBE-GGA | optimized geometry

Cell: 4.2604 4.2604 4.1686 Å, 90.00 90.00 90.00°
Closest atoms and distances in Å follow each position.
Positions (direct):
1 Ca 0.0000 0.0000 0.0000  8 O 2.98, 4 I 3.01
2 I 0.5000 0.5000 0.0000  2 N 2.08
3 N 0.5000 0.5000 0.5000  2 I 2.08, 4 O 2.13
4 O 0.0000 0.5000 0.5000  2 N 2.13
5 O 0.5000 0.0000 0.5000  2 N 2.13

Properties
VASP energy ... -4.06 eV/atom
SG ... P4/mmm (123)
Uncorrected formation energy ... 300 meV per atom

---

# 2
CaINO2 | PBE-GGA | optimized geometry

Cell: 4.3629 4.3629 7.0277 Å, 90.00 90.00 90.00°
Closest atoms and distances in Å follow each position.
Positions (direct):
1 Ca 0.0000 0.0000 0.0000  4 O 2.18
2 I 0.0000 0.0000 0.5000  4 N 3.09
3 N 0.5000 0.5000 0.5000  4 I 3.09
4 O 0.0000 0.5000 0.0000  2 Ca 2.18
5 O 0.5000 0.0000 0.0000  2 Ca 2.18

Properties
VASP energy ... -3.80 eV/atom
SG ... P4/mmm (123)
Uncorrected formation energy ... 561 meV per atom

---

# 3
CaINO2 | PBE-GGA | optimized geometry

Cell: 4.3500 4.3500 4.9936 Å, 90.00 90.00 90.00°
Closest atoms and distances in Å follow each position.
Positions (direct):
1 Ca 0.0000 0.0000 0.0000  4 O 2.17
2 I 0.5000 0.5000 0.5000  4 N 3.08, 8 O 3.31
3 N 0.0000 0.0000 0.5000  2 Ca 2.50
4 O 0.0000 0.5000 0.0000  2 Ca 2.17
5 O 0.5000 0.0000 0.0000  2 Ca 2.17

Properties
VASP energy ... -3.79 eV/atom
SG ... P4/mmm (123)
Uncorrected formation energy ... 573 meV per atom

---

# 4
CaPIN2 | PBE-GGA | optimized geometry

Cell: 3.9542 3.9542 5.5515 Å, 90.00 90.00 90.00°
Closest atoms and distances in Å follow each position.
Positions (direct):
1 Ca 0.0000 0.0000 0.0000  4 I 2.80
2 P 0.5000 0.5000 0.5000  4 N 1.98
3 I 0.5000 0.5000 0.0000  2 P 2.78, 4 Ca 2.80
4 N 0.0000 0.5000 0.5000  2 P 1.98
5 N 0.5000 0.0000 0.5000  2 P 1.98

Properties
VASP energy ... -4.39 eV/atom
SG ... P4/mmm (123)
ΔE to the lowest computed polymorph ... 0 kJ/mol of formula units
Uncorrected formation energy ... 736 meV per atom

---

# 5
CaPI2N | PBE-GGA | optimized geometry

Cell: 5.9682 5.9682 3.5570 Å, 90.00 90.00 90.00°
Closest atoms and distances in Å follow each position.
Positions (direct):
1 Ca 0.0000 0.0000 0.0000  8 I 3.47, 2 Ca 3.56
2 P 0.5000 0.5000 0.5000  2 N 1.78
3 I 0.0000 0.5000 0.5000  2 P 2.98
4 I 0.5000 0.0000 0.5000  2 P 2.98
5 N 0.5000 0.5000 0.0000  2 P 1.78

Properties
VASP energy ... -3.81 eV/atom
SG ... P4/mmm (123)
ΔE to the lowest computed polymorph ... 0 kJ/mol of formula units
Uncorrected formation energy ... -40 meV per atom

---

# 6
CaPIN2 | PBE-GGA | optimized geometry

Cell: 4.6061 4.6061 6.5287 Å, 90.00 90.00 90.00°
Closest atoms and distances in Å follow each position.
Positions (direct):
1 Ca 0.0000 0.0000 0.0000  4 N 2.30
2 P 0.5000 0.5000 0.5000  4 I 3.26
3 I 0.0000 0.0000 0.5000  4 P 3.26, 2 Ca 3.26
4 N 0.0000 0.5000 0.0000  2 Ca 2.30
5 N 0.5000 0.0000 0.0000  2 Ca 2.30

Properties
VASP energy ... -3.58 eV/atom
SG ... P4/mmm (123)
ΔE to the lowest computed polymorph ... 391 kJ/mol of formula units
- - -

At the end of the call, the Apple representative didn’t sound very thrilled, but said that given this reasoning she would take it to the review board. A quick sidenote here, we certainly don’t have beef with the individuals at Apple. We can’t even imagine how grueling it must be to call developers all day and tell them that the thing they’ve been working on for one-to-fifty months isn’t allowed.

Actual photo of Apple’s Dev Program call center.

A week and a few days later we got another call. Apple was rejecting it conclusively. No more appeals, no negotiation. Two reasons for rejection, the first what we’d dealt with all along:

“Your app contains content that is offensive and would be considered objectionable by many users, which is not allowed on the App Store. Specifically, the app includes references controversial current events. Additionally, it was determined that iOS App Store Review Guideline with regard to political cartoons exception does not apply to this political themed game.”

So apparently literally shitting on the most easily-offended candidate in recent memory is fine, but if you make his policy of deporting immigrants look silly, too much chance for offense!

And the second point, a new one!

“Your app contains content or features that include people from a specific race, culture, government, corporation, or other real entity as the enemies in the context of the game. Specifically, the app includes a game targeting different countries to bomb and targeting people from Mexico, which is not appropriate.”

Ah, bombing countries and targeting people groups. Pretty racy stuff! Too bad we didn’t have the good fortune of Middle East Airplane Riot Crisis : Pro or Helicopter Wars, the gist of the latter being “Save the world by flying dozens of dangerous missions in Cuba, Sudan, Iran, and North Korea.” Bombing a pixelated map of North Korea? Offensive. Bombing people in it in 3D? Fun!

We didn’t agree. But at this point, we didn’t have a choice. So what’s a developer of ultra-offensive political pixel art games to do?

Good thing we didn’t actually know how to build apps!

When we set out to make the app in the first place, there was one tiny issue: we didn’t really know how to build apps. We had pretty rough web development skills and one of us used to be super good at Flash in 2007 (goToAndPlay amirite bros???). If we were going to make a bunch of games, learning to build them all natively was going to be a drag.

Our new philosophy.

So, like cowards, we built the app with Phonegap Build and built the games with Construct 2. There were performance trade-offs to be sure, as well as the psychological shame of building the games without actually writing code, but for simple 2D concepts, it was super fast.

Once the App Store rejections started rolling in, we were incredibly glad we had been such cowards. We started rapidly tweaking the games to also work on desktop and Android browsers. We overhauled the site from a simple link to the App Store to a full-on library for the games, replete with obnoxious overlays begging you to turn your device 90 degrees to the right before the game starts.

It delayed us by weeks, and it certainly has more than few bugs left to be squashed, but now the games are finally available to play, and since they’re on the web, you can play them on just about any reasonably recent device with a browser (HTC Vive and Kindle DX support coming in Q4).

I guess the end of a Medium post is where you talk about lessons learned in the hopes that you’ll be hired for speaking engagements at tech conferences?

We don’t know. Maybe just don’t do satire for a platform where the review process is notoriously slow and opaque? Maybe just make stuff for the web where you have some kind of control? Maybe make better satire? Or less potentially offensive satire? Or only do it if you’re a sixty year-old editorial cartoonist?

Anyway, you should play with our stuff.

Check out what Apple thought was too offensive at

